Sophie 2.0
Sophie is software for writing and reading rich media documents in a networked environment.
Sophie’s goal is to open up the world of multimedia authoring to a wide range of people and institutions.
Sophie runs on Mac, Windows and Linux operating systems.
Sophie's Provenance
Sophie's either sixteen years in the making or about four depending on whether you go back to the beginning or not. The beginning was at The Voyager Company, an early electronic publisher (The Criterion Collection, Robert Winter's CD-Companion Series, Who Built America, Pedro Meyer's I Photograph to Remember and Laurie Anderson's Puppet Motel etc.). Back in 1992 Voyager released the Expanded Books Toolkit (explained by Douglas Adams) which enabled people to make simple e-books without any programming. The first three titles were Martin Gardner's Annotated Alice, Douglas Adams' trilogy Hitchhiker's Guide to the Galaxy and Jurassic Park (before it came out in paperback). The second three were Marge Piercy's Gone to Soldiers, Susan Faludi's Backlash and perhaps the first text-based "double-feature" which paired Neil Postman's Amusing Ourselves to Death with Aldous Huxley's Brave New World.
Shortly thereafter, Voyager Japan released T-2 which has gone on to become the leading ebook software in its home country. In 1996 a group of Voyager employees formed Night Kitchen with the intent of creating an authoring/reading environment that would extend the Expanded Books Toolkit concept to include rich media. The result TK3 never officially came to market, but teachers in high schools and colleges used it in their classrooms and with their students created some remarkable projects.
Attached: data records:
1.
VASP calculation (PBE) on an optimized crystal structure of Na.

Output
- formation energy from the elements (eV per atom) = 0.01
- polymorph energy (0 for the lowest one) (kcal/mol of atoms) = 0.30
- final energy (eV for the cell shown) = -10.48

```
8
Lattice="-4.1939 4.1939 4.1939 4.1939 -4.1939 4.1939 4.1939 4.1939 -4.1939" Properties=species:S:1:pos:R:3 pbc="T T T"
Na 1.8746 6.0685 -1.8746
Na -1.8746 1.8746 6.0685
Na 0.2223 -0.2223 3.9715
Na 2.3193 2.3193 2.3193
Na 0.2223 0.2223 0.2223
Na 3.9715 0.2223 -0.2223
Na -0.2223 3.9715 0.2223
Na 6.0685 -1.8746 1.8746
```

---

2.
VASP calculation (PBE) on an optimized crystal structure of Na.

Output
- formation energy from the elements (eV per atom) = 0.01
- polymorph energy (0 for the lowest one) (kcal/mol of atoms) = 0.25
- final energy (eV for the cell shown) = -1.31

```
1
Lattice="1.2806 1.9390 2.8983 -2.2614 2.3028 1.8392 -1.1157 -0.8473 3.4405" Properties=species:S:1:pos:R:3 pbc="T T T"
Na 0.0000 0.0000 0.0000
```

---

3.
VASP calculation (PBE) on an optimized crystal structure of Na.

Output
- formation energy from the elements (eV per atom) = 0.12
- polymorph energy (0 for the lowest one) (kcal/mol of atoms) = 2.86
- final energy (eV for the cell shown) = -4.79

```
4
Lattice="1.3681 1.1145 4.2624 -4.4752 -0.6945 -0.8784 0.9309 -8.3983 1.8972" Properties=species:S:1:pos:R:3 pbc="T T T"
Na -2.2947 -2.1911 1.3095
Na 0.4654 -4.1992 0.9486
Na 0.0000 0.0000 0.0000
Na 0.1185 -5.7872 3.9717
```

---

- Among the records above, which one has the highest formation energy from the elements?
  number 3


Entry from the Materials Project database: crystalline Rb2Te at its relaxed geometry (PBE).

abc: 8.1636 6.1277 10.6712
angles: 90.00 90.00 90.00
Last column: nearest neighbours and their distance in Å.
Space group Pnma (No. 62)
Asymmetric unit:
Rb  0.0024  0.2500  0.2424 [4 per cell]  6 Te 4.02-4.21, 8 Rb 4.08-4.12
Rb  0.2403  0.2500  0.5828 [4 per cell]  3 Te 3.55
Te  0.2467  0.2500  0.9155 [4 per cell]  3 Rb 3.55

Values from the calculation:
The total energy is -0.19419 Ry/atom. The calculation puts the density at 3.71 Mg/m³.

Entry from the Materials Project database: crystalline MgCuGe at its relaxed geometry (PBE).

abc: 4.0053 4.0053 6.3948
angles: 90.00 90.00 90.00
Last column: nearest neighbours and their distance in Å.
Space group P4/nmm (No. 129, origin choice 2)
Asymmetric unit:
Mg  0.2500  0.7500  0.0000 [2 per cell]  4 Cu 2.76, 4 Mg 2.83, 4 Ge 2.87
Cu  0.2500  0.2500  0.2980 [2 per cell]  1 Ge 2.43
Ge  0.2500  0.2500  0.6780 [2 per cell]  1 Cu 2.43

Values from the calculation:
The total energy is -0.24713 Ry/atom. The size of the total moment comes out at 0.0 μB per cell. The calculation puts the density at 5.20 Mg/m³.

Entry from the Materials Project database: crystalline Ti2Al at its relaxed geometry (PBE).

abc: 6.3100 6.3100 6.3100
angles: 90.00 90.00 90.00
Last column: nearest neighbours and their distance in Å.
Space group F-43m (No. 216)
Asymmetric unit:
Back to the article:
The Mellon Foundation approached some of the TK3 team and asked them to build a new multimedia authoring program which would be open-source and would extend TK3 by enabling time-based events (e.g. a timed, narrated slide show or embedding links at specific points in video clips). That became Sophie.
Funded over time by grants from the Mellon Foundation, McArthur Foundation and the University of Southern California, Los Angeles, Sophie is now an OpenSource community project with the support currently coming from the Institute for the Future of the Book and the OpenSource community. Astea Solutions is the main company involved in the development of Sophie 2.0.
# Materials data from another source follow
-- begin --
Density functional theory data (PBE+U) for a geometry-optimized Mn5As4O20 structure.

Cell lengths 9.3580, 9.5538, 9.9624 Å; angles 102.50, 118.01, 90.00 degrees
Closest atoms and distances in Å follow each position.
Positions (direct):
Mn: 0.1044 0.2500 0.0000  6 O 1.91-1.98
Mn: 0.8956 0.7500 0.0000  6 O 1.91-1.98
Mn: 0.2612 0.6952 0.6375  2 O 1.64-1.78
Mn: 0.6236 0.8048 0.3625  2 O 1.64-1.78
Mn: 0.7388 0.3048 0.3625  2 O 1.64-1.78
Mn: 0.3764 0.1952 0.6375  2 O 1.64-1.78
Mn: 0.8503 0.6139 0.6460  4 O 1.86-2.06
Mn: 0.2043 0.8861 0.3540  4 O 1.86-2.06
Mn: 0.1497 0.3861 0.3540  4 O 1.86-2.06
Mn: 0.7957 0.1139 0.6460  4 O 1.86-2.06
As: 0.1277 0.8971 0.8697  4 O 1.65-1.81
As: 0.2581 0.6029 0.1303  4 O 1.65-1.81
As: 0.8723 0.1029 0.1303  4 O 1.65-1.81
As: 0.7419 0.3971 0.8697  4 O 1.65-1.81
As: 0.3916 0.1470 0.3000  4 O 1.72-1.74
As: 0.0916 0.3530 0.7000  4 O 1.72-1.74
As: 0.6084 0.8530 0.7000  4 O 1.72-1.74
As: 0.9084 0.6470 0.3000  4 O 1.72-1.74
O: 0.9670 0.7757 0.8496  1 As 1.81, 1 Mn 1.96
O: 0.1174 0.7243 0.1504  1 As 1.81, 1 Mn 1.96
O: 0.0330 0.2243 0.1504  1 As 1.81, 1 Mn 1.96
O: 0.8826 0.2757 0.8496  1 As 1.81, 1 Mn 1.96
O: 0.1137 0.8208 0.6901  1 As 1.72
O: 0.4237 0.6792 0.3099  1 As 1.72
O: 0.8863 0.1792 0.3099  1 As 1.72
O: 0.5763 0.3208 0.6901  1 As 1.72
O: 0.0243 0.0543 0.8583  1 As 1.78, 1 Mn 1.98
O: 0.1659 0.4457 0.1417  1 As 1.78, 1 Mn 1.98
O: 0.9757 0.9457 0.1417  1 As 1.78, 1 Mn 1.98
O: 0.8341 0.5543 0.8583  1 As 1.78, 1 Mn 1.98
O: 0.3709 0.9767 0.3264  1 As 1.73
O: 0.0445 0.5233 0.6736  1 As 1.73
O: 0.6291 0.0233 0.6736  1 As 1.73
O: 0.9555 0.4767 0.3264  1 As 1.73
O: 0.6011 0.1698 0.3827  1 As 1.72, 1 Mn 1.93
O: 0.2184 0.3302 0.6173  1 As 1.72, 1 Mn 1.93
O: 0.3989 0.8302 0.6173  1 As 1.72, 1 Mn 1.93
O: 0.7816 0.6698 0.3827  1 As 1.72, 1 Mn 1.93
O: 0.3279 0.2582 0.4195  1 As 1.74
O: 0.9084 0.2418 0.5805  1 As 1.74
O: 0.6721 0.7418 0.5805  1 As 1.74
O: 0.0916 0.7582 0.4195  1 As 1.74
O: 0.3154 0.2009 0.1272  1 As 1.72, 1 Mn 1.91
O: 0.1882 0.2991 0.8728  1 As 1.72, 1 Mn 1.91
O: 0.6846 0.7991 0.8728  1 As 1.72, 1 Mn 1.91
O: 0.8118 0.7009 0.1272  1 As 1.72, 1 Mn 1.91
O: 0.3046 0.9170 0.0309  1 As 1.65
O: 0.2737 0.5830 0.9691  1 As 1.65
O: 0.6954 0.0830 0.9691  1 As 1.65
O: 0.7263 0.4170 0.0309  1 As 1.65
O: 0.7774 0.9516 0.4936  2 Mn 1.78-1.86
O: 0.2838 0.5484 0.5064  2 Mn 1.78-1.86
O: 0.2226 0.0484 0.5064  2 Mn 1.78-1.86
O: 0.7162 0.4516 0.4936  2 Mn 1.78-1.86
O: 0.6213 0.3189 0.1824  1 Mn 1.64
O: 0.4389 0.1811 0.8176  1 Mn 1.64
O: 0.3787 0.6811 0.8176  1 Mn 1.64
O: 0.5611 0.8189 0.1824  1 Mn 1.64

Output
density	3.9	g/cm³
raw total energy	-6.3740	eV/atom
formation energy	-1.501	eV/atom



Density functional theory data (PBE+U) for a geometry-optimized Li4Mn3V2Cu3O16 structure.

Cell lengths 5.8768, 5.8768, 9.6074 Å; angles 88.52, 88.52, 59.35 degrees
Closest atoms and distances in Å follow each position.
Positions (direct):
Li: 0.6718 0.6718 0.9017  4 O 1.96-2.04
Li: 0.9977 0.9977 0.9947  4 O 1.81-1.98
-- stop --
About Astea Solutions
Astea Solutions AD was formed in 2007 to leverage its founders’ deep experience with Bulgaria and access to well trained software developers working with the most advanced technologies to create a high growth software development company.
Astea designs and develops proprietary and open source software products with global market potential in the electronic publishing field. The company works closely with Sofia University’s Faculty of Mathematics and Informatics and Laboratory for Interactive Multimedia. The oldest higher education institution in Bulgaria, Sofia University is also the country’s largest with 14,000 students. Additionally, Astea provides a full spectrum of bespoke software development services including custom programming, testing, graphic design, technical documentation and turnkey systems. Much of its service work involves companies and projects in the online publishing domain.
Misplaced materials data >
/*
GdErIn2 after structural relaxation, computed with GGA-PBE.

Volume   27.4 Å³/atom
Total energy   -6.492 eV per atom
Space-group type   Fm-3m (225)
Energy of formation   -0.455 eV/atom

a = 5.372 Å, b = 5.372 Å, c = 5.372 Å
α = 60.00°, β = 60.00°, γ = 60.00°
Positions (direct):
Gd 0.000 0.000 0.000
Er 0.500 0.500 0.500
In 0.250 0.250 0.250
In 0.750 0.750 0.750
*/
Here the page continues >
Bulgaria is now internationally recognized as an exceptional source of highly qualified technical talent and many of the United States and Europe’s leading technology companies have opened substantial research and development centers in Bulgaria. Astea’s founders see a rare opportunity to engage Bulgaria’s best and brightest to establish a market beachhead in certain emerging technologies that will provide major global sales opportunities. Astea has focused its initial activities on the open source market segment with a special focus on university, publishing, and research-oriented applications.